• Request:
Echo the rows further down from the first line to the one with "70.77, 38" exactly.

• Input:
********
(1)
Calculated powder X-ray diffraction pattern of Nb3Fe3N for CuKα, from a PBE-relaxed structure.
Peak positions follow from Bragg's law for the DFT cell and can differ from measured ones.

Top 12 peaks for 10° ≤ 2θ ≤ 80°, sorted by position:
index, two_theta, Rel. int.
4 0 0, 31.68, 12
3 3 1, 34.61, 18
4 2 2, 39.06, 43
3 3 3, 41.54, 100
4 4 0, 45.42, 39
4 4 2, 48.34, 9
6 2 2, 53.83, 7
5 5 1, 58.33, 10
7 3 1, 63.23, 5
7 3 3, 67.92, 12
8 2 2, 70.77, 38
5 5 5, 72.46, 9

Crystal structure
a b c (Å): 11.297 11.297 11.297
angles (deg): 90.00 90.00 90.00
Space group Fd-3m (No. 227, origin choice 2)
One atom of each set of equivalent atoms:
Nb (0.074, 0.375, 0.375) (multiplicity 48)
Fe (0.000, 0.000, 0.500) (multiplicity 16)
Fe (0.050, 0.050, 0.700) (multiplicity 32)
N (0.000, 0.000, 0.000) (multiplicity 16)

(2)
Calculated powder X-ray diffraction pattern of CeCoSi2 for CuKα, from a PBE-relaxed structure.
Peak positions follow from Bragg's law for the DFT cell and can differ from measured ones.

Top 12 peaks for 10° ≤ 2θ ≤ 80°, sorted by position:
index, two_theta, Rel. int.
0 4 0, 21.56, 33
0 2 1, 24.65, 27
0 4 1, 31.08, 23
1 1 1, 31.80, 81
1 5 0, 35.06, 74
1 3 1, 35.43, 100
0 6 1, 39.74, 42
2 0 0, 44.65, 34
0 0 2, 45.13, 33
1 9 0, 55.00, 24
1 5 2, 58.40, 33
2 6 1, 61.29, 23

Crystal structure
```
data_CeCoSi2
_cell_length_a 4.059
_cell_length_b 16.486
_cell_length_c 4.018
_cell_angle_alpha 90.00
_cell_angle_beta 90.00
_cell_angle_gamma 90.00
_space_group_name_H-M_alt 'C m c m'
_space_group_IT_number 63
_space_group_name_Hall '-C 2c 2'
loop_
_atom_site_label
_atom_site_type_symbol
_atom_site_fract_x
_atom_site_fract_y
_atom_site_fract_z
Ce1 Ce 0.000 0.109 0.250
Co1 Co 0.000 0.322 0.250
Si1 Si 0.000 0.250 0.750
Si2 Si 0.000 0.459 0.250
```
********

• Here it is:
(1)
Calculated powder X-ray diffraction pattern of Nb3Fe3N for CuKα, from a PBE-relaxed structure.
Peak positions follow from Bragg's law for the DFT cell and can differ from measured ones.

Top 12 peaks for 10° ≤ 2θ ≤ 80°, sorted by position:
index, two_theta, Rel. int.
4 0 0, 31.68, 12
3 3 1, 34.61, 18
4 2 2, 39.06, 43
3 3 3, 41.54, 100
4 4 0, 45.42, 39
4 4 2, 48.34, 9
6 2 2, 53.83, 7
5 5 1, 58.33, 10
7 3 1, 63.23, 5
7 3 3, 67.92, 12
8 2 2, 70.77, 38